Page 55 of Mischief Mayhem
I smiled at just how much joy V had actually brought into my life in the last few weeks—hell, in the ten months since she’d come home from college. There was no one who gave me shit as well as she could, and I loved bantering with her.
“Wow, I don’t think I’ve ever seen you smile that big,” Ru said, blowing out a disbelieving breath, “and that’s saying something. What about your celibacy streak?”
“Thank you for suggesting it in the first place,” I said, recalling the conversation she and I had outside the clubhouse last June, the one where she made me realize I needed to start treating myself better if I wanted better. “You helped me, Ru. More than you know.”
“Hey, you cunt,” came a loud roar over the crowd. “I wasn’t done with you.”
“You’re done with me now,” shouted a familiar voice in return. “Back the fuck up or I’ll stomp your face in, you old greasy pervert!”
“Say that again,” he growled, but I was already out of my seat.
I knew that raging feminine war cry. I’d pulled V off enough fuckers in this bar to recognize it over the thumping bass and loud-ass bikers. By the time I got to her, she’d already swung on the guy, nailing him in the cheek with her right hook. She raised her hand to do it again, but I wrapped an arm around her elbow to hold her back. My heart hammered in my chest, fury racing through my blood at the thought of whatever this guy could have done to warrant this reaction out of her.
**Attached: data records**
=====
Crystalline Li3Ag2Pd5 at its relaxed geometry, computed with PBE.

calculated total energy	-79.94	eV per cell
SG	No. 2
ΔE_f	-2.56	eV per formula unit

a b c (Å): 7.3221 7.3577 7.3619
angles (deg): 107.54 113.47 107.18
Closest atoms and distances in Å follow each position.
Sites, in units of the cell vectors:
Li  0.0313  0.3485  0.0838  4 Ag 2.70-2.78, 5 Pd 2.71-2.87, 3 Li 2.82-2.93
Li  0.1795  0.4520  0.5368  8 Pd 2.71-2.83, 2 Ag 2.79-2.81, 2 Li 2.81-2.82
Li  0.4396  0.9604  0.2797  8 Pd 2.69-2.86, 2 Ag 2.73-2.80, 2 Li 2.81-2.93
Li  0.5604  0.0396  0.7203  8 Pd 2.69-2.86, 2 Ag 2.73-2.80, 2 Li 2.81-2.93
Li  0.8205  0.5480  0.4632  8 Pd 2.71-2.83, 2 Ag 2.79-2.81, 2 Li 2.81-2.82
Li  0.9687  0.6515  0.9162  4 Ag 2.70-2.78, 5 Pd 2.71-2.87, 3 Li 2.82-2.93
Ag  0.0793  0.0472  0.2267  4 Li 2.73-2.81, 7 Pd 2.76-2.86, 1 Ag 2.83
Ag  0.3166  0.5537  0.9820  4 Li 2.70-2.79, 7 Pd 2.78-2.83, 1 Ag 2.95
Ag  0.6834  0.4463  0.0180  4 Li 2.70-2.79, 7 Pd 2.78-2.83, 1 Ag 2.95
Ag  0.9207  0.9528  0.7733  4 Li 2.73-2.81, 7 Pd 2.76-2.86, 1 Ag 2.83
Pd  0.1267  0.7420  0.3736  6 Li 2.71-2.87, 4 Pd 2.71-2.85, 2 Ag 2.78-2.82
Pd  0.2265  0.1494  0.6740  2 Li 2.72-2.76, 4 Ag 2.77-2.83, 6 Pd 2.79-2.85
Pd  0.2707  0.8481  0.8242  5 Li 2.69-2.83, 5 Pd 2.76-2.85, 2 Ag 2.79-2.81
Pd  0.3808  0.2512  0.1285  3 Li 2.74-2.78, 5 Pd 2.76-2.83, 4 Ag 2.76-2.86
Pd  0.4696  0.6479  0.4287  5 Pd 2.71-2.79, 5 Li 2.71-2.86, 2 Ag 2.79-2.81
Pd  0.5304  0.3521  0.5713  5 Pd 2.71-2.79, 5 Li 2.71-2.86, 2 Ag 2.79-2.81
Pd  0.6192  0.7488  0.8715  3 Li 2.74-2.78, 5 Pd 2.76-2.83, 4 Ag 2.76-2.86
Pd  0.7293  0.1519  0.1758  5 Li 2.69-2.83, 5 Pd 2.76-2.85, 2 Ag 2.79-2.81
Pd  0.7735  0.8506  0.3260  2 Li 2.72-2.76, 4 Ag 2.77-2.83, 6 Pd 2.79-2.85
Pd  0.8733  0.2580  0.6264  6 Li 2.71-2.87, 4 Pd 2.71-2.85, 2 Ag 2.78-2.82

***

Crystalline Cu4TeSe3 at its relaxed geometry, computed with PBE.

calculated total energy	-61.11	eV per cell
SG	No. 31
E_form (uncorrected)	-72	meV per atom

a b c (Å): 7.7939 6.6914 6.5525
angles (deg): 90.00 90.00 90.00
Closest atoms and distances in Å follow each position.
Sites, in units of the cell vectors:
Cu  0.0000  0.1704  0.0000  3 Se 2.38-2.39, 1 Te 2.56
Cu  0.0000  0.8281  0.2222  3 Se 2.43-2.45, 1 Te 2.66, 3 Cu 2.69-2.71
Cu  0.2451  0.3332  0.4991  3 Se 2.38-2.40, 1 Te 2.58
Cu  0.2549  0.6668  0.9991  3 Se 2.38-2.40, 1 Te 2.58
Cu  0.5000  0.1719  0.7222  3 Se 2.43-2.45, 1 Te 2.66, 3 Cu 2.69-2.71
Cu  0.5000  0.8296  0.5000  3 Se 2.38-2.39, 1 Te 2.56
Cu  0.7451  0.6668  0.9991  3 Se 2.38-2.40, 1 Te 2.58
Cu  0.7549  0.3332  0.4991  3 Se 2.38-2.40, 1 Te 2.58
Te  0.0000  0.8335  0.8156  4 Cu 2.56-2.66
Te  0.5000  0.1665  0.3156  4 Cu 2.56-2.66
Se  0.0000  0.1667  0.3629  4 Cu 2.38-2.45
Se  0.2473  0.3342  0.8622  4 Cu 2.38-2.43
Se  0.2527  0.6658  0.3622  4 Cu 2.38-2.43
Se  0.5000  0.8333  0.8629  4 Cu 2.38-2.45
Se  0.7473  0.6658  0.3622  4 Cu 2.38-2.43
Se  0.7527  0.3342  0.8622  4 Cu 2.38-2.43

***

Crystalline Nd12Dy2Th at its relaxed geometry, computed with PBE.
=====
**Back to the entry**
I saw red, and I knew only one thing as I pulled her away—I’d protect this woman with my life.
“You fucking piece of shit!” She kicked out at him, nailing him in the chest with her heel. “Don’t you ever touch me again! Don’t ever touch me!”
Slicing hot rage rushed through my veins, and I didn’t think, just reacted. I shoved the guy back and got between him and my girl.
“What the fuck’s your problem, huh?” I pushed at the angry fucker whose name tag said Hoss as he was trying to get to V again. “You wanna fight?”
“Is that your bitch?” Hoss nodded to V, wiping at his busted bottom lip. “Put a leash on her before I have to fucking teach her a lesson.”
V wouldn’t have started shit with a stranger for no reason. If she was in this guy’s face, he did something to deserve it, and I’d bet it had to do with the weeping woman standing next to her.
“Lesson?” I raised my eyebrows and laughed. “You’re a real dumb motherfucker, aren’t you?” Just seeing his hands on her was enough to make me want to kill him, but hearing him refer to her like that set me off. I swung on the dude before he had a chance to say anything else, knocking his ass back. He lost his footing and fell to the ground, where I grabbed his shirt, holding him up so I could hit him again.
Wrath rolled through me, incinerating whatever restraint I had left. I collided my fist with his face, over and over again, until I felt he’d learned his lesson. MCs on our territory were here as guests. End of story. He didn’t get to come to Madison County and touch our women, regardless of what club he belonged to.
“Maybe that’s how you talk to your old ladies,” I snarled, grabbing his bloody shirt to hold him up so I could spit in his face. “But here, you treat people with respect or you get your face stomped in.”
“Hollywood!” someone shouted. Massive arms wrapped around my elbow, hauling me up, and another set circle around my waist. “He’s done, man! He’s done.”
It was Saint, KC, and Bear, each of them grabbing a piece of me to pull me back. At my height and weight, it took three of them to get me off him and Verona cupping my face to get me to stop huffing fury.
“Get him out of here!” Thor shouted, coming over to assess the guy on the ground. “V, take him home.”
“He started it,” V snarled, pointing at the girl to her right. “He practically groped her in the hallway.”
____________
Record 1
# CoBrCl GGA-PBEsol optimized geometry
# Total magnetic moment (Bohr magnetons per cell): 3.01
# Excess energy over the best structure of this formula in the dataset (meV per atom): 1298
# SG: F-43m
# E_form (uncorrected) (meV/atom): 947.2
# DOS at the Fermi energy (states/eV per atom): 1.8995
data_CoBrCl
_chemical_formula_sum 'Co1 Br1 Cl1'
_space_group_name_H-M_alt 'P 1'
_space_group_IT_number 1
_cell_length_a 4.5529
_cell_length_b 4.5529
_cell_length_c 4.5529
_cell_angle_alpha 60.00
_cell_angle_beta 60.00
_cell_angle_gamma 60.00
loop_
_space_group_symop_operation_xyz
'x,y,z'
loop_
_atom_site_label
_atom_site_fract_x
_atom_site_fract_y
_atom_site_fract_z
Co1 0.0000 0.0000 0.0000
Br1 0.5000 0.5000 0.5000
Cl1 0.7500 0.7500 0.7500



Record 2
# RbLiS3 GGA-PBEsol optimized geometry
# Total magnetic moment (Bohr magnetons per cell): 4.01
# Excess energy over the best structure of this formula in the dataset (meV per atom): 926
# SG: Pm-3m
# E_form (uncorrected) (meV/atom): 825.0
# DOS at the Fermi energy (states/eV per atom): 1.2073
data_RbLiS3
_chemical_formula_sum 'Rb1 Li1 S3'
_space_group_name_H-M_alt 'P 1'
_space_group_IT_number 1
_cell_length_a 5.8312
_cell_length_b 5.8312
_cell_length_c 5.8312
_cell_angle_alpha 90.00
_cell_angle_beta 90.00
_cell_angle_gamma 90.00
loop_
_space_group_symop_operation_xyz
'x,y,z'
loop_
_atom_site_label
_atom_site_fract_x
_atom_site_fract_y
_atom_site_fract_z
Rb1 0.0000 0.0000 0.0000
Li1 0.5000 0.5000 0.5000
S1 0.0000 0.0000 0.5000
S2 0.0000 0.5000 0.0000
S3 0.5000 0.0000 0.0000

~~~~~

A geometry-optimized Cs6BiH2 structure, computed with PBE.

Output
Fermi-level density of states (states/eV/atom): 0.3550
Energy (eV/atom): -1.9235
Volume (Å³ per cell): 517.6
ρ (g/cm3): 3.235

Cell lengths 6.5615, 9.1698, 9.9140 Å; angles 74.22, 70.68, 69.04 degrees
Fractional positions:
Cs  0.7341  0.6404  0.8913
Cs  0.2659  0.3596  0.1087
Cs  0.9731  0.8587  0.1950
Cs  0.3509  0.7175  0.5806
Cs  0.0269  0.1413  0.8050
Cs  0.6491  0.2825  0.4194
Bi  0.0000  0.5000  0.5000
H  0.1857  0.7096  0.9190
H  0.8143  0.2904  0.0810

~~~~~

DFT (GGA-PBE) results for Pu2HgOs after structural relaxation.

Calculated values
ΔH_f (0 K) in eV per atom: 0.128
Offset from the most stable computed form in eV/f.u.: 1.06

Unit cell a=5.0980 b=5.0980 c=3.4405 alpha=90.00 beta=90.00 gamma=90.00
Space group P4/mmm (No. 123)
Symmetry-distinct sites (fractional):
Pu  0.0000  0.5000  0.0000
Hg  0.0000  0.0000  0.5000
Os  0.5000  0.5000  0.5000

***

DFT (GGA-PBE) results for SmGaSn2 after structural relaxation.

Calculated values
ΔH_f (0 K) in eV per atom: -0.504
Offset from the most stable computed form in eV/f.u.: 0.00

Unit cell a=4.5576 b=4.5576 c=4.7732 alpha=90.00 beta=90.00 gamma=90.00
Space group P4/mmm (No. 123)
Symmetry-distinct sites (fractional):
Sm  0.0000  0.0000  0.0000
Ga  0.5000  0.5000  0.0000
Sn  0.0000  0.5000  0.5000

***

DFT (GGA-PBE) results for Sc2FeTe after structural relaxation.

Calculated values
____________
End of the data records
“Go!” Thor pointed to the door and growled before returning the bloody bastard on the ground.
I spit at him, disgusted with men who thought they could treat women like shit just because they were older or bigger. I was the biggest person in this fucking club, so by that reasoning, I could own them all. I had to consciously rein in my anger so I could turn my back on the mess we’d made.
“C’mon,” V said, tugging my shirt toward the entrance. I went willingly, rubbing my busted knuckles as I passed the girl she’d saved in the first place. Reunited with her friends, she hung on to one of them while they consoled her. It didn’t fucking matter anymore. I didn’t need to know the situation to make mincemeat of that bastard’s face. No one put their hands on V like that, regardless of whether I was fucking her or not.
“Jesus, Hollywood,” she said. “I had it handled.”
“Yeah, it sure looked like it.” I grunted, shifting my shoulders to work out some of the tension from the fight. “You and that Montgomery temper.”
She laughed, shaking her head. If there was one thing that ran in that family, it was their hot-blooded reaction when things didn’t go their way. KC had been known to fly off the handle anytime Alba so much as got a paper cut, and I’d seen Castor tear through people with his bare hands. Crow was the worst of them. For as much as he was the calm and collected patriarch, he’d gotten the title of president for a reason. The things I’d heard about what he’d done to a former SRMC member-turned-traitor still haunted my nightmares.
When we got to my truck, she stopped and turned to face me, leaning up against the driver’s side door while she pulled me closer by the belt loops. Grinning up at me, she pushed up on her toes to plant a kiss right on my lips.
“That was hot,” she said. “If I didn’t want you before, I certainly do now.”
“Yeah?” The fever from the confrontation drained out of me, replaced by an entirely new warmth that had me arching my hips toward her, seeking friction for a greedy cock that wanted to sink itself deep inside her. “How bad do you want me?”
She bit her bottom lip and wrapped her arms around my neck, pulling me down so she could whisper in my ear.